Little Red and The Wolf
After breakfast, little red put on his costume that he and his older bro picked together but the thing is that boys from his school will make fun of him by his costume because he act like a girly girl "big bro can i put my costume on when i get home please
The Costume of True Desires (Krystal TF TG)
Richard was browsing through an online costume s. it was a bizarre looking one, but he had a party to be at and needed a costume. he found a pilot costume and ordered it. a package arrived and richard took it in.
Still Untitled Kueh and Aeck Story
She was dressed in a shiny, spandex and very purple q-bee costume. she had her hip cocked to one side, looking me over in my own costume. her wings were golden trimmed, along with all the metallic details over the costume.
Invader Witch + Salem Myu
The outfit had a small panel out the neck for viewing, and a very floppy head. "not the best costume to start off with...but a good one. hey you!" cassandra raced up to the person in the dinosaur outfit. man, woman, it didn't matter.
Inflate-a-Flammie 2 DX: If the Fur Fits...
~~~
No. 1
# Tm2PbS4

A geometry-optimized Tm2PbS4 structure (GGA-PBE, the Materials Project database).

Lattice parameters (Å, degrees): 14.798 14.798 12.077 90.00 90.00 149.10
Sites, in units of the cell vectors:
Tm  0.068  0.932  0.912
Tm  0.932  0.068  0.412
Tm  0.569  0.431  0.920
Tm  0.431  0.569  0.420
Tm  0.430  0.070  0.787
Tm  0.930  0.570  0.787
Tm  0.570  0.930  0.287
Tm  0.070  0.430  0.287
Tm  0.327  0.172  0.267
Tm  0.828  0.673  0.267
Tm  0.673  0.828  0.767
Tm  0.172  0.327  0.767
Tm  0.674  0.326  0.433
Tm  0.326  0.674  0.933
Tm  0.175  0.825  0.430
Tm  0.825  0.175  0.930
Pb  0.538  0.462  0.620
Pb  0.462  0.538  0.120
Pb  0.047  0.953  0.564
Pb  0.953  0.047  0.064
Pb  0.462  0.041  0.096
Pb  0.959  0.538  0.096
Pb  0.538  0.959  0.596
Pb  0.041  0.462  0.596
S  0.517  0.483  0.318
S  0.483  0.517  0.818
S  0.708  0.292  0.646
S  0.292  0.708  0.146
S  0.162  0.838  0.936
S  0.838  0.162  0.436
S  0.663  0.337  0.938
S  0.337  0.663  0.438
S  0.361  0.137  0.476
S  0.863  0.639  0.476
S  0.639  0.863  0.976
S  0.137  0.361  0.976
S  0.209  0.791  0.645
S  0.791  0.209  0.145
S  0.486  0.017  0.384
S  0.983  0.514  0.384
S  0.514  0.983  0.884
S  0.017  0.486  0.884
S  0.640  0.360  0.225
S  0.360  0.640  0.725
S  0.288  0.207  0.058
S  0.793  0.712  0.058
S  0.712  0.793  0.558
S  0.207  0.288  0.558
S  0.020  0.980  0.334
S  0.980  0.020  0.834
S  0.340  0.166  0.767
S  0.834  0.660  0.767
S  0.660  0.834  0.267
S  0.166  0.340  0.267
S  0.140  0.860  0.223
S  0.860  0.140  0.723

## Properties
The corrected total energy (MP2020 scheme) is -6.09 eV/atom. As for the energy relative to the elements: -1.919 eV per atom. For the total DFT energy (no corrections), the calculation gives -40.6 eV/f.u. For the spin magnetization, the calculation gives 0.0000 μB per atom.

No. 2
# Tm2PbS4

A geometry-optimized Tm2PbS4 structure (GGA-PBE, the Materials Project database).

Lattice parameters (Å, degrees): 3.946 11.995 14.260 90.00 90.00 90.00
Sites, in units of the cell vectors:
Tm  0.250  0.437  0.389
Tm  0.250  0.937  0.111
Tm  0.750  0.563  0.611
Tm  0.750  0.063  0.889
Tm  0.250  0.418  0.901
Tm  0.250  0.918  0.599
Tm  0.750  0.582  0.099
Tm  0.750  0.082  0.401
Pb  0.250  0.762  0.335
Pb  0.250  0.262  0.165
Pb  0.750  0.238  0.665
Pb  0.750  0.738  0.835
S  0.250  0.207  0.831
S  0.250  0.707  0.669
S  0.750  0.793  0.169
S  0.750  0.293  0.331
S  0.250  0.128  0.528
S  0.250  0.628  0.972
S  0.750  0.872  0.472
S  0.750  0.372  0.028
S  0.250  0.024  0.285
S  0.250  0.524  0.215
S  0.750  0.976  0.715
S  0.750  0.476  0.785
S  0.250  0.414  0.576
S  0.250  0.914  0.924
S  0.750  0.586  0.424
S  0.750  0.086  0.076

## Properties
The corrected total energy (MP2020 scheme) is -6.09 eV/atom. As for the energy relative to the elements: -1.918 eV per atom. For the total DFT energy (no corrections), the calculation gives -40.6 eV/f.u.

* * * * *

1.
~~~
• The materials data stop here:
I don't know (candy) what it was (costumes) about the holiday that (candy) captured my interest the most (costumes), but it was certainly something that i look forward to more than (candy and costumes!!!)
Something Witchy in Salem
After getting unbuckled, pan was carried into what looked like a costume shop. there were rows and rows of masks and costumes. pan didn't like this place. some of the masks were scary.
The Dragon and the Kit at the Party
I refused to don my half of the costume.
In The Otter House pt.1
After what an agonizing wait, daisy came back with an outfit that made ashley blush furiously at the sight of it. it was a perverse french maid outfit!
The Pokemon Parade
He was wearing a rather fancy costume of a reuniclus, with his jacket shimmering as he moved. ash and clemont beamed as the shimmering costume dazzled them.
Office Party [story / dog / multiple]
Blood rushes down and my labia begins to swell, pressing against the black fabric of the costume. and then the lips continue to bulge and the costume grows damp.
Spirit Force Adventures! Ep 6
I've been working on this costume for a costume party coming up soon. something like this would set my superhero outfit over the top~" "y-you're dressing up as a hero? but... i thought you didn't like-" "shhhhh, debby!
Welcome to Jurassic (Theme) Park
A simple electrical signal was all it took to get the costume to its proper form.